Born and raised in Southern California, it is no surprise that Manuel Carrillo III became a car enthusiast, but he took that passion and leveraged his skills with a camera and keyboard (and his bright personality) to become a successful freelance automotive journalist and YouTube star.
For Manuel though, the die was cast even earlier than most of us, because when he was born his father brought his mother and him home from the hospital in a classic air-cooled 1977 Porsche 911. The elder Manuel Carrillo Jr. had many cars and trucks pass through his hands over the years, but the iconic Porsche 911 with the vanity plate that reads "MANNYC J" had a place in the garage no matter what else he was driving.
A plumber’s Porsche
Mr. Carrillo bought the 911 new in late 1977, which is a testament to how much money a talented plumber with the County of Los Angeles can make. For nearly 20 years he enjoyed driving the Porsche hard, piling on over 100,000 miles and wearing it out along the way.
By the time 1995 rolled around (the last valid registration sticker on the car), the engine was smoking, and the car was tired, so it was parked in favor of more modern machinery. There it sat, neglected save for an annual engine start to keep it from getting stuck. Young Manuel attempted to sneak it out of the garage a few times before he was old enough to drive, but youthful enthusiasm was no match for the mysteries of a stick shift transmission. Eventually, for one reason or another, it just wouldn't start anymore
The car's long dormancy in a suburban garage had left it buried under more than a decade of dust and clutter, but thankfully in no worse condition than it had been 20 years ago. You can watch the process of extracting it from the garage on Manuel Carrillo III's YouTube: Project Stork Episode One.

____________
1.
Diffraction record for Sm2MgURh6. The powder diffractogram is calculated, not measured: it uses a DFT-relaxed cell (GGA-PBE, Alexandria) and Cu Kα (λ = 1.5418 Å).
No peak broadening, texture or thermal motion is included.

Largest 12 diffraction maxima, low angle first, 2θ = 10–90°:
2θ = 11.26°, rel. 100, hkl 0 0 1
2θ = 19.26°, rel. 15, hkl 2 0 0
2θ = 22.63°, rel. 12, hkl 0 0 2
2θ = 30.93°, rel. 13, hkl 0 2 0
2θ = 32.03°, rel. 21, hkl 2 0 -3
2θ = 33.01°, rel. 27, hkl 3 1 0
2θ = 36.69°, rel. 30, hkl 4 0 -2
2θ = 38.67°, rel. 24, hkl 3 1 1
2θ = 39.09°, rel. 65, hkl 2 2 -2
2θ = 42.38°, rel. 24, hkl 1 1 3
2θ = 45.12°, rel. 21, hkl 4 0 1
2θ = 64.50°, rel. 13, hkl 6 2 -2

Crystal structure
```
data_Sm2MgURh6
_cell_length_a 10.003
_cell_length_b 5.789
_cell_length_c 8.529
_cell_angle_alpha 90.00
_cell_angle_beta 112.90
_cell_angle_gamma 90.00
_space_group_name_H-M_alt 'C 1 2/m 1'
_space_group_IT_number 12
_space_group_name_Hall '-C 2y'
loop_
_atom_site_label
_atom_site_fract_x
_atom_site_fract_y
_atom_site_fract_z
Sm1 0.209 0.000 0.129
Mg1 0.000 0.000 0.500
U1 0.000 0.500 0.000
Rh1 0.011 0.243 0.774
Rh2 0.247 0.500 0.227
```


2.
Diffraction record for Mg3Sn4Rh4. The powder diffractogram is calculated, not measured: it uses a DFT-relaxed cell (GGA-PBE, Alexandria) and Cu Kα (λ = 1.5418 Å).
No peak broadening, texture or thermal motion is included.

Largest 12 diffraction maxima, low angle first, 2θ = 10–90°:
2θ = 11.32°, rel. 48, hkl 0 0 2
2θ = 21.31°, rel. 35, hkl 0 2 0
2θ = 28.70°, rel. 63, hkl 1 0 1
2θ = 36.03°, rel. 92, hkl 1 2 1
2θ = 36.65°, rel. 64, hkl 0 3 3
2θ = 38.09°, rel. 58, hkl 1 1 4
2θ = 40.50°, rel. 32, hkl 1 0 5
2θ = 40.85°, rel. 100, hkl 0 2 6
2θ = 44.88°, rel. 57, hkl 1 3 2
2θ = 58.11°, rel. 46, hkl 2 0 0
2θ = 67.87°, rel. 35, hkl 1 5 4
2θ = 73.48°, rel. 36, hkl 2 2 6

Crystal structure
```
data_Mg3Sn4Rh4
_cell_length_a 3.174
_cell_length_b 8.337
_cell_length_c 15.630
_cell_angle_alpha 90.00
_cell_angle_beta 90.00
_cell_angle_gamma 90.00
_space_group_name_H-M_alt 'I m m m'
_space_group_IT_number 71
_space_group_name_Hall '-I 2 2'
loop_
_atom_site_label
_atom_site_fract_x
_atom_site_fract_y
_atom_site_fract_z
Mg1 0.000 0.000 0.000
Mg2 0.000 0.500 0.093
Sn1 0.000 0.300 0.337
Rh1 0.000 0.000 0.255
Rh2 0.000 0.219 0.500
```

* * * * *

# 1
The following is a computed powder diffraction line list of Dy3InH. It was derived from a structure optimized by DFT (PBE), using Cu Ka.
Peak positions follow from Bragg's law for the DFT cell and can differ from measured ones.

Largest 10 diffraction maxima, most intense first, 2θ = 10–80°:
| d/Å | Position (°2θ) | intensity |
| --- | --- | --- |
| 2.875 | 31.11 | 100 |
| 2.821 | 31.72 | 82 |
| 2.742 | 32.66 | 73 |
| 2.598 | 34.53 | 51 |
| 2.936 | 30.44 | 50 |
| 3.080 | 28.99 | 49 |
| 2.533 | 35.44 | 41 |
| 2.632 | 34.07 | 40 |
| 2.469 | 36.39 | 31 |
| 1.468 | 63.37 | 28 |

Crystal structure
```
Dy3InH
1.0
8.429 0.000 0.000
0.000 6.622 0.000
-7.564 0.000 8.672
Dy In H
12 4 4
direct
____________
Jump forward many years, and Haynes teams up with Manuel in Project Stork, an attempt to resurrect the vehicle that brought that newborn home from the hospital. A truck and trailer were procured and a weekend was spent digging the car out of the mess and yanking it free from the garage. Next, it was transported the 50 miles from the family home southeast of L.A. to the Haynes shop in Newbury Park, CA.
Admittedly, while Mr Carrillo may be an expert behind the wheel, he is decidedly amateur when it comes to matters under the hood (or rear hatch in this case), which means he is very much in the Haynes Manual target audience. Our manuals make complicated procedures easy, even for the novice mechanic without specialized tools, even when working on a highly engineered precision sports car like the Porsche 911. Manuel also had an ace up his sleeve in the form or his friend, fellow motor journalist and noted Porschephile Brad Brownell.
It was only a matter of a few days in the shop, and they had taken stock of the condition and needs of this forlorn Porsche and were well on their way toward making it an automobile once again. The motor refused to be turned over, by any means, and pulling the spark plugs revealed a cylinder had become filled with enough oil to lock the piston in place.
Materials data, kept here for reference.
+++
Calculated PXRD pattern
Compound: HoHgBr6
Radiation: Cu Kα X-rays
Structure: a crystal structure in Alexandria, relaxed with PBE

Largest 10 diffraction maxima, in order of rising 2θ, 10 to 80 degrees two-theta:
d_spacing	2θ (°)	I (rel.)
5.760	15.38	100
5.120	17.32	60
4.877	18.19	83
3.853	23.08	40
3.606	24.69	56
3.579	24.88	63
3.195	27.93	70
2.983	29.95	49
2.384	37.73	42
2.281	39.51	51

Atomic structure:
a b c (Å): 7.0919 7.1261 7.2746
angles (deg): 61.33 66.19 86.88
Fractional positions:
Ho 0.0000 0.0000 0.0000
Hg 0.5000 0.5000 0.0000
Br 0.0474 0.1714 0.5438
Br 0.2297 0.3928 0.8118
Br 0.4089 0.8808 0.8549
Br 0.5911 0.1192 0.1451
Br 0.7703 0.6072 0.1882
Br 0.9526 0.8286 0.4562

***

Calculated PXRD pattern
Compound: Hg2I2Br
Radiation: Cu Kα X-rays
Structure: a crystal structure in Alexandria, relaxed with PBE

Largest 10 diffraction maxima, in order of rising 2θ, 10 to 80 degrees two-theta:
d_spacing	2θ (°)	I (rel.)
7.359	12.03	100
4.023	22.10	27
3.762	23.65	36
3.397	26.23	27
3.095	28.85	28
2.853	31.35	15
2.390	37.63	24
2.288	39.38	30
2.232	40.40	19
2.189	41.25	16

Atomic structure:
a b c (Å): 9.1912 9.1912 9.1912
angles (deg): 123.12 123.12 84.67
Fractional positions:
Hg 0.2107 0.0000 0.2107
Hg 0.7500 0.0393 0.2893
Hg 0.7500 0.4607 0.7107
Hg 0.7893 0.0000 0.7893
I 0.4548 0.2271 0.2277
I 0.9771 0.2493 0.2723
I 0.9771 0.7048 0.7277
I 0.9993 0.2271 0.7723
Br 0.4322 0.9322 0.5000
Br 0.6822 0.6822 0.0000

***

Calculated PXRD pattern
Compound: HgIBr
Radiation: Cu Kα X-rays
Structure: a crystal structure in Alexandria, relaxed with PBE

Largest 10 diffraction maxima, in order of rising 2θ, 10 to 80 degrees two-theta:
d_spacing	2θ (°)	I (rel.)
5.856	15.13	38
5.676	15.61	26
3.665	24.28	100
2.897	30.87	18
2.332	38.60	29
2.225	40.55	31
2.184	41.33	24
1.997	45.42	18
1.940	46.84	16
1.820	50.12	19

Atomic structure:
a b c (Å): 7.5446 7.5446 7.5446
angles (deg): 129.26 126.97 76.46
Fractional positions:
Hg 0.1211 0.3711 0.7500
Hg 0.3789 0.1289 0.2500
I 0.2500 0.9779 0.7279
I 0.7500 0.5221 0.7721
Br 0.0169 0.2500 0.2669
Br 0.4831 0.7500 0.2331

~~~~~

For HfZnSnF, a GGA-PBE-relaxed structure gives the calculated powder XRD pattern in this record (a wavelength of 1.5418 Å).
Neutral-atom scattering factors, no anomalous dispersion.

Largest 8 diffraction maxima, by angle, 2θ from 10° to 90°:
- hkl 0 0 2, 17.58°, I = 100
- hkl 1 0 0, 33.50°, I = 41
+++
With a fresh battery and spark plugs, and time for the old oil to drain out the spark plug hole, the engine cranked properly again. A compression test revealed that all cylinders on the air-cooled six were still within spec, even after 116,000 miles of hard driving in the hot California sun.

All the oil was changed and new spark plugs were fitted, but the goop in the fuel tank proved to be the sticking point, no pun intended. Thanks to the long production life of the 911, new fuel tanks and pumps are readily available. The best that could be done for the fuel lines for now though was to blow them out with compressed air. In any long-dormant car that has not been properly prepared before storage, the fuel evaporating into a sticky glue-like substance is going to be one of the most significant problems, and it had literally gummed up the fuel injection.
Appropriately enough, just before Father's Day 2017 Brad and Manuel managed to clean things out enough that they could tickle the Porsche back to life. The captured that day's work in Project Stork Episode Three.
The car went to Las Vegas in September, to be displayed at the SEMA show in the same condition it had been pulled from the garage, and sadly not drivable. While they had been able to make it run, thousands of miles of oil sucked past hard, cracked, leaking valve seals had been caked inside the exhaust system meaning smoke and no power due to a clogged muffler. Once again back in the Haynes shop Bradley and Manuel went back to the Haynes Porsche 911 manual and read up on the procedure for pulling the motor.

Thanks to the highly logical engineering practices of the Germans, taking the engine out of an air-cooled Porsche 911 is surprisingly easy. Using the old mechanic's rope trick (filling the combustion chamber at TDC with rope through the spark plug hole) the springs were removed from the valves one at a time, and the old valve seals were pulled off with a dental pick. Tight and supple new seals were carefully installed, then the springs were reinstalled. The rope keeps the valve from moving off the seat by filling the space between the piston and the valve.
After a day's work, they were ready to put the motor back in and see if they once again had a car. Unfortunately, they had to run it with no muffler because of all the oil, or fortunately if you happen to like the sound of an air-cooled flat six. It started, it ran, it sounded angry, and it had quit smoking!
Manuel and Brad were so ecstatic this time that they couldn't help themselves and took the (unregistered) car for an extremely loud spin around the quiet Newbury Park neighborhood. Luckily they did not come within a mile of a law enforcement officer in the brief, high rpm, ear-splitting drive.
But the fun was short lived. The hardened fuel "varnish" still in the lines and tank is playing all sorts of trick on the quasi-mechanical Bosch CSI fuel injection system, causing it to flood like a carburetor with a leaky float at low RPMs. This makes driving difficult, and idling impossible, so going into the second Father's Day of this project, it is still not quite ready to drive, but it is getting here.
Manuel Carrillo Jr. passed on his love of cars to his son and an original copy of the Haynes manual in the front trunk of his 911. Now, with Haynes filling in the technical knowledge his father never could give him, Manuel Carrillo III is passing his love of cars on to a new young generation of enthusiast via his YouTube channel.